Interview with Teachers
ICL in the Covid pandemic

Interviewee: Prof. Yuka Sakamoto
Interviewer: Misai Shoji (Fourth-year undergraduate at the School of Economics, an ICL supporter)
Translators: Mio Kobayashi (ICL administrative staff), Walt Wyman
Promoting Traditional Culture in Miyagi Worldwide
Shoji: Could you tell us what your course, “Sharing Miyagi’s Traditional Culture” is about?
Prof. Sakamoto: In this class, we focus on the Sendai Tanabata Festival, which is one of our favourite traditions in summer. Our aim is that the students learn about the traditional culture in Miyagi and promote it using their own words.
**Someone pasted data records at this point**
-- begin --
Structure and calculated powder XRD pattern of La4Tl2Br (a cell relaxed with PBE; λ = 1.5418 Å (Cu Kα)).

abc: 5.736 11.508 7.080
angles: 90.00 90.00 90.00
Space group Amm2 (No. 38)
Unique sites:
La  0.000  0.000  0.000 x2
La  0.000  0.000  0.487 x2
La  0.500  0.250  0.494 x4
Tl  0.000  0.238  0.744 x4
Br  0.500  0.000  0.243 x2

Principal peaks in the range 2θ = 10–80°, most intense first:
d (Å)	I (rel.)
2.669	100
2.868	31
2.877	30
5.745	30
2.031	22
1.615	22
1.618	21
1.507	17
3.014	13
1.334	11

=====

Structure and calculated powder XRD pattern of Pm2Nd4In (a cell relaxed with PBE; λ = 1.5418 Å (Cu Kα)).

abc: 6.439 11.026 6.623
angles: 90.00 90.26 90.00
Space group P2_1/c (No. 14)
Unique sites:
Pm  0.247  0.040  0.018 x4
Nd  0.068  0.153  0.516 x4
Nd  0.398  0.745  0.256 x4
In  0.500  0.000  0.500 x2

Principal peaks in the range 2θ = 10–80°, most intense first:
d (Å)	I (rel.)
2.839	100
2.876	67
3.090	59
2.805	57
2.796	55
3.192	50
2.534	48
3.214	45
2.594	42
2.366	29

----------

The following is a computed powder diffractogram of Rb5Fe3O6. It was derived from the GGA+U geometry in Alexandria, using Cu Kα X-rays.
Kinematic intensities with the Lorentz-polarization factor, no thermal factor.

Largest 10 diffraction maxima, in order of rising 2θ, 15 to 90 degrees two-theta:
- 2θ = 28.60°, I = 52
- 2θ = 31.24°, I = 100
- 2θ = 40.89°, I = 22
- 2θ = 52.34°, I = 40
- 2θ = 57.17°, I = 15
- 2θ = 59.21°, I = 8
- 2θ = 65.16°, I = 12
- 2θ = 67.06°, I = 9
- 2θ = 68.47°, I = 8
- 2θ = 82.94°, I = 9

```
data_Rb5Fe3O6
_chemical_formula_sum 'Rb10 Fe6 O12'
_cell_length_a 9.7770
_cell_length_b 9.7770
_cell_length_c 9.7770
_cell_angle_alpha 126.32
_cell_angle_beta 126.32
_cell_angle_gamma 79.36
_space_group_name_H-M_alt 'P 1'
_space_group_IT_number 1
loop_
_space_group_symop_operation_xyz
'x,y,z'
loop_
_atom_site_label
_atom_site_type_symbol
_atom_site_fract_x
_atom_site_fract_y
_atom_site_fract_z
_atom_site_occupancy
Rb1 Rb 0.0000 0.0000 0.0000 1
Rb2 Rb 0.1570 0.1250 0.5320 1
Rb3 Rb 0.2437 0.2437 0.0000 1
Rb4 Rb 0.3750 0.8430 0.9680 1
Rb5 Rb 0.5063 0.0063 0.5000 1
Rb6 Rb 0.5930 0.6250 0.4680 1
Rb7 Rb 0.7500 0.2500 0.5000 1
Rb8 Rb 0.7563 0.7563 0.0000 1
Rb9 Rb 0.8750 0.4070 0.0320 1
Rb10 Rb 0.9937 0.4937 0.5000 1
Fe1 Fe 0.1166 0.6250 0.9916 1
Fe2 Fe 0.2500 0.7500 0.5000 1
Fe3 Fe 0.3750 0.3666 0.4916 1
Fe4 Fe 0.5000 0.5000 0.0000 1
Fe5 Fe 0.6334 0.1250 0.0084 1
Fe6 Fe 0.8750 0.8834 0.5084 1
O1 O 0.1018 0.8342 0.5858 1
O2 O 0.1658 0.7516 0.2676 1
O3 O 0.2484 0.5160 0.4142 1
O4 O 0.2660 0.4984 0.9142 1
O5 O 0.3750 0.1537 0.2787 1
O6 O 0.4840 0.8982 0.7324 1
O7 O 0.5016 0.4158 0.7676 1
O8 O 0.5842 0.3518 0.0858 1
O9 O 0.6482 0.7340 0.2324 1
O10 O 0.8463 0.1250 0.2213 1
O11 O 0.8750 0.0963 0.7213 1
O12 O 0.9037 0.6250 0.7787 1
```

The following is a computed powder diffractogram of Rb5FeO4. It was derived from the GGA+U geometry in Alexandria, using Cu Kα X-rays.
Kinematic intensities with the Lorentz-polarization factor, no thermal factor.
-- stop --
**End of the data records**
We have studied roughly two things this year. Firstly, we learnt about Sendai Tanabata and the Sendai Tanabata Festival. Students researched the history of tanabata in Sendai, and then we invited a couple of guests who run the festival to teach us how to run the event. After that, each group picked a theme, and made decorations for tanabata. Secondly, we had group activities to deepen our knowledge on traditions in Miyagi other than tanabata. For this, we collaborated with a company that runs official social media accounts for the city of Sendai. Groups of students researched traditional culture in Miyagi and posted the result on Sendai City’s official social media platforms.
Smaller Scale Post-Pandemic Classes
Shoji: I understand that your classes were half online and half face-to-face this year. Were there any differences in the number of international students and where they came from compared to pre-Covid?
Prof. Sakamoto: Before the pandemic (2019), there were roughly 60 students in total, of which 70% to 80% were international students. They were from everywhere too, Europe, North America, and Oceania to name a few. On the other hand, this semester (2021 spring semester), there were only 12 students of which 40% were international students. Most of our activities took place online, so the number of students was limited. However, compared to pre-Covid, the number of international students and home students was quite well balanced. The international students were from France, China, and Indonesia, quite limited compared to before the pandemic
Deep Understanding Based on Experience
Shoji: I appreciate that you invited guests from outside of school, and I got the impression that your focus is not only on inside but outside academia. Are there any keys to designing and conducting your classes successfully?
Prof. Sakamoto: A vast majority of the students in this course are international students. Most of the students in my class including some of the home students have never been to the Sendai Tanabata Festival. For this reason, I am making sure that the students cannot learn what I teach anywhere else but here in Sendai. In pre-Covid times, we used to hire a tour guide and had a walking tour to the Sendai Castle ruins, in order to learn about Masamune Date, a regional ruler who spread the tradition of tanabata in Sendai. We also visited a museum specialized in tanabata before we created our own decorations. I want to ensure that I teach them something they cannot learn on the Internet or in the library. I invited guests who run the festival to talk about their passion and struggles concerning the management of the festival as well as the financial benefit the festival brings to the community. In this way, the students can join the festival with a deep understanding of traditional culture in Miyagi.
Restructuring of the Course after the Pandemic
Shoji: Did you face any challenges during the pandemic when most international students had no choice but to remain in their countries? Did you have to restructure your course as a result?
Prof. Sakamoto: When I started the course in April this year, there were already a lot of uncertainties regarding the mobility of the international students and the possible cancellation of the Sendai Tanabata Festival. It was not easy to figure out how to conduct classes online whilst retaining the quality of the contents and providing the students with “first-hand experience that leads to knowledge.” I had to plan around the fact that the students’ experience will be limited this year and decided to increase the project-based group activities and broaden the focus, which had been lim9ited to the Sendai Tanabata Festival, to traditions in Miyagi in general. This led to the collaboration with the Sendai City official social media team I mentioned earlier. I was able to introduce a new way to promote the traditional culture of Miyagi worldwide as well as give students more opportunities to work in groups.
Shoji: I understand that having group activities online is not easy. Were most of the students in the course fluent in English?
Prof. Sakamoto: Not necessarily, no. Moreover, there were a lot of first years who had little with online discussions. In order to make sure that they had successful discussions, I tried two new strategies.
Shoji: What were the new strategies specifically?
Prof. Sakamoto: Firstly, I asked the students to set up “Group Contracts,” rules within the group. I was aiming to make an atmosphere in which the students felt free to speak up and ask questions, which was achieved by ensuring that they knew their roles and rules in the group before discussions. Secondly, I decided to ask for ICL Supporters to be involved in running the course. Their main role was to assist the students in having smooth discussions and give students advice before and after the class.
Shoji: As one of the ICL supporters I myself was astonished by how fast the students learn. There were some students who confided in me that they wished they were more confident during discussions. By the end of the term, however, they were able to speak up more often, which made me quite proud, actually.
Communication Across the Sea
Shoji: Were there any rewarding moments in running the course as a teacher?
Prof. Sakamoto: It was nice to see that students found ways to communicate, despite the challenging situation. I know now that asking ICL Supporters to get involved was a good decision. For those who had little experience in ICL classes, it must have been reassuring to have ICL Supporters who gave them opportunities to talk in/outside of class. I am certain that this was the key factor that led to successful relationships between the beginners and advanced learners in the end. I am delighted to see that they can build close relationships even online. This year, I also sent some students “mini tanabata decoration kits” to make sure that the international students who live abroad could make decorations with a good understanding of what each of the seven decorations represents. As a result, the students told me that they felt close to Sendai even though they were miles away from us. Moreover, they introduced this tradition of Miyagi to their friends and family in their home countries.
Shoji: I remember that some of the international students even made the decorations with their family, and others shared the decorations within their community.
Prof. Sakamoto: Yes, you are right. It is an unexpected but very positive effect that not only the students but also those around them had the chance to enjoy the tradition of Miyagi.
Instead of Giving Up, think about What You Can Do.
Shoji: Because of the pandemic, there are a lot of students who are struggling to find opportunities for multicultural interactions. Is there any advice to those who are interested but unable to join such activities?
Prof. Sakamoto: I understand that in a circumstance such as this we cannot help but focus on the negative side of our lives. However, the most important thing is to do the best you can in the situation. Start from something small by joining events online. Think about what you can do in the situation and take action!
ICL in the Community
Shoji: Are there any particular plans for ICL in the future?
Prof. Sakamoto: ICL is a process in which students with different linguistic and cultural backgrounds deepen their mutual understanding through meaningful interactions. In the future, I would also like to provide a place where students and communities in Miyagi interact and understand each other. Although many things are uncertain right now, I would like to be always creative and adaptable in designing my course.
Shoji: I got the impression that the pandemic showed us new ways of learning.
Prof. Sakamoto: I totally agree. It made me feel like we could do anything if we tried! That brings us back to the message, “taking action” I mentioned earlier. I myself have always thought that I need to try and do new things, and this half a year in the pandemic gave me an opportunity to offer new ways of learning.
Shoji: I am very excited for the future of ICL. Thank you so much for your time.
Check out articles on our students’ experience of making tanabata decorations on our official Facebook page!
(Posted on 6/Aug/2021)